Urban Landscape – The Collage City
If it has been difficult in Western culture to coin the concept of landscape, much more complicated has been the attempt to adequately conceive the idea of landscape within theurban context. It is not until the mid-1950s that the phenomenon of confronting the viewer with this mixture of natural and artificial scenarios that make up the city (often arising from social, political or economic interests) began to be studied.
“I want to make buildings that produce a new type of landscape, that flow together with contemporary cities and the lives of their inhabitants.”
Zaha Hadid
This analysis of the visual, perceptive and constructive phenomena offered by the city has been marred by the imposition of economic interests (such as the value of land use, commercialization or the financial limitations of some governments to invest in urban planning), what condemns the places to a monotonous everydayness and homogenization that makes the cities begin to lose their unique and individual character. Actually, the concept of “urban landscape” must be understood as a cultural phenomenon and not as a mere causal product of nature or as a simple urbanization. Once we understand that it is a subjective event, we can pose the idea of the city as a place that, being able to provoke aesthetic sensations and affective feelings, it claims the ability to be interpreted as “landscape”.
When we talk about urban landscape, we refer to the urban space: a very anthropized area, characterized by its high density, both demographic and building that unlike the rural area, has infrastructures and services that do not exist in the countryside.

Established in 1857, Central Park (New York, USA) was one of the first American parks to be developed using landscape architecture techniques.
The importance of the perception of the population, understood not only as the vision it has of the city, but in a broader sense, contemplating its objective knowledge, expectations, needs, preferences, values and aspirations, is one of the basic pillars in the landscape approach.
The cities and urban plots are the best exponent of the action and the interaction of natural and/or human factors. Understanding and comprehending how the relationships between the different natural or man-made variables work and are established is a complex but indispensable task, since this knowledge is what will allow the design of a sustainable urban grid both in a physical and affective plane.
One of the main challenges that any planner faces is the integration and demarcation of this type of spaces, since their limits are usually diffuse and complex. The design of the cities must clearly establish how these types of soil will interact in such a way that the result will be functional and convenient for their inhabitants.
The morphological conflicts arising from this expansion (in most cases not planned) have posed indisputable challenges for urban planners and landscape architects.

********
P.
Here is one molecule with the formula C23H25N3O5S from the Open Molecules 2025 dataset. Energies are from ωB97M-V/def2-TZVPD.

```
57
Properties=species:S:1:pos:R:3:nbo_charge:R:1
C -4.69181 -2.41889 -1.84457 -0.2520
H -5.10195 -1.84889 -2.68403 0.1796
O -4.39542 -1.58692 -0.74901 -0.4764
C -3.49666 -0.58568 -0.91629 0.2702
C -2.79680 -0.32900 -2.08519 -0.2988
C -1.88147 0.71464 -2.14439 -0.2007
C -1.67488 1.49158 -1.02854 -0.3482
C -2.38423 1.28334 0.14287 -0.2992
C -3.29452 0.24130 0.21994 0.3360
O -4.02584 -0.07184 1.31021 -0.4909
C -3.91481 0.75707 2.45105 -0.2676
H -2.88792 0.80571 2.82054 0.2120
H -4.55614 0.29960 3.20208 0.1987
H -4.26873 1.76946 2.23617 0.1781
H -2.21129 1.93828 0.97857 0.2631
S -0.48632 2.82599 -1.08127 2.3339
O -1.09042 3.99668 -0.51705 -0.9336
O 0.07458 2.90332 -2.39524 -0.9239
N 0.76173 2.40402 -0.02816 -0.7093
C 1.79093 1.56325 -0.46401 0.2292
C 3.10810 1.73779 -0.03541 -0.2966
C 4.09984 0.85889 -0.43438 -0.1972
C 3.82248 -0.20013 -1.28642 -0.0272
C 2.51905 -0.33769 -1.74934 -0.1764
C 1.51496 0.51424 -1.33664 -0.2418
H 0.50750 0.36911 -1.68489 0.2254
H 2.28309 -1.14346 -2.42822 0.2137
C 4.87320 -1.18731 -1.68698 -0.6322
H 5.84587 -0.90715 -1.29132 0.2118
H 4.60850 -2.17403 -1.30771 0.2348
H 4.94183 -1.25324 -2.77131 0.2192
H 5.10878 1.00871 -0.07667 0.2116
H 3.36739 2.57363 0.59845 0.2152
C 0.69230 2.85284 1.34669 -0.3147
C 0.37846 1.65779 2.24915 0.6770
O -0.71386 1.47420 2.74952 -0.6500
N 1.41763 0.81311 2.41296 -0.6121
H 2.25241 0.97509 1.86472 0.4131
C 1.23012 -0.54907 2.88155 -0.2509
C 1.10422 -1.46245 1.69135 -0.0700
C -0.08696 -1.53297 0.97708 -0.1664
C -0.14540 -2.32441 -0.15606 -0.2450
C 0.99632 -3.01517 -0.53415 0.0288
N 2.13599 -2.95107 0.13197 -0.4212
C 2.18630 -2.19077 1.21023 0.0337
H 3.14109 -2.16820 1.72115 0.1893
H 1.00406 -3.65201 -1.40903 0.1919
H -1.05632 -2.39858 -0.72890 0.2216
H -0.95163 -0.97579 1.30636 0.2286
H 0.31563 -0.55944 3.47903 0.2417
H 2.08228 -0.83090 3.50457 0.2092
H 1.61996 3.34383 1.65606 0.2106
H -0.12157 3.57777 1.38994 0.2715
H -1.33915 0.93285 -3.05030 0.2463
H -2.95680 -0.93328 -2.96342 0.2267
H -3.81081 -2.97640 -2.17970 0.1738
H -5.44289 -3.11933 -1.48357 0.2060
```

Calculated values
Multiplicity: 1
HOMO energy (eV): -8.355
Gap between HOMO and LUMO (eV): 8.940
SMILES: COc1ccc(S(=O)(=O)N(CC(=O)NCc2cccnc2)c2ccc(C)cc2)cc1OC
Net charge: 0
Molecular weight (Da): 455.54

=====

Q.
Here is one molecule with the formula C23H25N3O5S from the Open Molecules 2025 dataset. Energies are from ωB97M-V/def2-TZVPD.

```
57
Properties=species:S:1:pos:R:3:nbo_charge:R:1
C -6.06884 -0.90562 1.19198 -0.7151
C -5.06100 0.05028 0.59161 0.6884
O -5.26286 0.69573 -0.40564 -0.5829
N -3.89712 0.09102 1.32047 -0.6308
C -2.73262 0.81084 1.07367 0.2660
C -2.59980 1.68972 -0.00292 -0.2697
C -1.39002 2.32017 -0.22764 -0.1651
C -0.32537 2.08735 0.62319 -0.3747
C -0.45395 1.25351 1.71780 -0.1620
C -1.65884 0.62208 1.94841 -0.2724
H -1.76674 -0.04217 2.79391 0.2103
H 0.39713 1.10017 2.36118 0.2484
********

Agricultural development encircles the towns of Ausim and Shinbari in the Cairo Governorate of Egypt. The towns are located within the fertile area surrounding the Nile River / Photography:

Albenga, city situated on the Gulf of Genoa in Italy. When viewing the town from above, it’s easy to see the amount of space dedicated to agriculture / Photography: www.dailyoverview.com
The urban landscape, product of nature, engineering and architecture, is the meeting place of a great human concentration. Every day the population depends mainly on resources that are not seen and that are almost always outside the city.
Thus, the metropolis expand beyond its limits in a diffuse growth. Often, urban expansion invades rural terrain and most especially, natural terrain.
In its meeting, the city ends up devouring the natural resources in a downward spiral that degrades the quality of life of its inhabitants.
This “collage” of urbanized, rural, industrial, commercial, recreational and other areas constitutes a living entity. The city is a being that is transformed and modified continuously: its infrastructure changes; old buildings disappear to make way for new constructions or recreational spaces; the zones change of purpose or destination; their profiles blur and intertwine to create new forms while they continue to function in unexpected and surprising ways. In urban landscape, pieces of modernity are mixed with natural landscapes and with ancient constructions; lakes, parks and rivers combine their sounds, colors, shapes and textures sectioning the zones and generating overlapping plots of landscapes and architecture. The streets form reticles, sometimes ordered and sometimes chaotic, determined by their geographical reality. Each city has a history that is the sum of millions of stories. Landscape architects face the enormous challenge of ordering and making sense of these often disparate realities and of giving them balance and viability. At the same time as its inhabitants, cities need to develop, function and grow properly. They must respond to the spatial, physical and even spiritual needs of the communities that inhabit them without losing their character.

Aerial photo collage of the Central Park area in Manhattan / Photography: Sergey Semonov from AirPano. Winner of an Epson’s Pano Award. www.thesuperslice.com

Toledo, located in central Spain, home of roughly 80,000 residents, located on a mountaintop with sweeping views / Photography: Martín Sanchez. www.dailyoverview.com

The High Line, a new 1.5–mile long public park built on an abandoned elevated railroad stretching from the Meatpacking District to the Hudson Rail Yards in Manhattan, New York. / Photography: Iwan Baan and Cameron Davidson www.dsrny.com/project/high-line
Some immutable icons that characterize them do not prevent their permanent movement and transformation, so it is increasingly urgent and necessary to intervene respectfully in their environment, giving viability and sustainability to their development. The beautiful urban landscape can combine in a contrasting image the modern and ancient, the traditional and the innovative, the hectic life and the backwater of peace that the cities keep.
The urban landscape is thus, a sum of mosaics with characteristics and own qualities. It is a juxtaposition of physical, social and economic realities in constant and permanent movement that work like a watercolor, where the sum of two colors does not overlap, but produces a third one.

Munich Olympic Stadium, the first large scale project to use acrylic glass stabilized by steel cables to create large overhanging canopies.
Nevertheless, the well-attended phenomenon of globalization, with standards of functionality approved for all cities and in the hands of the economic interests of the multinationals that exploit urban and commercial services, are leading to the city of the 21st century turn into an incoherent succession of anonymous spaces that, in their lack of signs of identity, are presented as identical to themselves in any point of the planet, rejecting the possibility of containing symbolic elements.
Hence the importance of the study of the urban landscape in the planning of cities, especially those variables necessary to create quality spaces that take into account the landscape in their planning and that adequately meet the needs and fulfill the desires of its inhabitants.
In this context, urban planners and landscape architects have the difficult task of designing coherent urban spaces, with attractive and functional poles of attraction that manage to build a visual image that corresponds with the wishes and vital needs of its citizens and more than anything else, that can express what is particular about the character of the community.

The Burj Khalifa in Dubai, United Arab Emirates / Photography: Martín Sanchez. www.dailyoverview.com
There is no urban landscape that is equal to another in the world. Each city is unique and responds to its geophysical and historical circumstances and how it has been transformed over time. However, all have common features in that they constitute poles of demographic and economic concentration, their high level of accessibility and communication and their ability to provide infrastructure to its inhabitants. The fact of anyone can live it, enjoy it, interpret its spaces properly and even appropriate it, is what makes its correct planning, transformation and conservation fundamental. As citizens of the world, we have to fight to keep their unique characteristics alive, without slowing down their process of evolution, integration and development, always betting on a human, sensitive, transcendent and functional urban landscape.